Like, i went for a walk today and ran into this guy. I know he’s got an orange sibling from the same house and sometimes there is drama with a black and white cat from across the street. Also there’s a rotating cast of like 7 other cats who make daily rounds through my back yard

Also, I suppose I should, like, get to know my neighbors who serve these cats. But I'm better with cats than people.

Oh. Well, that’s a sad screen and a potential new hobby project

Listening to a tech news podcast talking about the relative inevitability of driverless taxis, and I got to wondering: If I'm in the back of a driverless taxi and the car begins to cause mayhem, does that make me (as the sole human present) legally responsible for stopping it?

Considering how the tech industry loves to externalize risk, I think I'd be very reticent to step into a robocab

@socketwench I think I'll stick to my bicycle

Well, my iPod Touch still turns on. I wonder if I can still check FriendFeed?

== Data records, kept here for reference ==
-- begin --
Record 1
Density functional theory data (ωB97M-V/def2-TZVPD) for C46H112FeLiN10O14 as an isolated structure at a distorted geometry.

Structure (XYZ):
```
184
C46H112FeLiN10O14 ωB97M-V/def2-TZVPD
H -1.50286 1.75158 3.54540
H -3.58683 -4.99634 -2.44119
H -3.52268 -1.83185 -0.50773
H -5.68530 2.95394 4.51846
C 3.89349 3.44697 -1.48503
H -5.03490 1.43375 -1.29493
H 4.64815 1.17032 1.10436
H 0.51799 7.27936 -2.27376
H -0.60169 1.89143 7.16682
C -3.30323 5.61990 2.08686
C 4.31890 0.15973 2.93266
H 4.43211 -0.54691 0.87498
C -2.95224 3.38707 -3.06669
H 6.56807 -7.56335 0.09153
O 1.16307 2.57839 0.86385
C -3.43945 5.78541 -2.97074
H -0.93020 -3.47212 3.36857
C -0.16443 -1.18524 -0.58858
H 2.53686 -4.82097 -2.94978
H 1.32689 0.04367 7.70576
H -0.89469 -1.05801 3.74888
H 0.66987 -0.17837 -4.12189
H 5.49601 -5.20667 0.79595
H -1.94755 -0.81846 0.58504
H -4.32823 5.66620 -2.35109
H -0.91810 -7.96744 -4.67459
H -0.58067 -2.05540 -3.81085
C -0.99782 -0.39856 0.28825
H 2.29189 -1.21516 6.92718
O 6.76669 -5.57863 -0.72285
H -4.00606 7.61586 3.89823
H 0.76795 -3.40322 2.90310
O 3.62575 -2.06281 2.72660
H -6.32287 2.72942 6.15337
C -0.51827 -0.58558 -5.92471
H -2.42841 6.21404 2.35105
N 1.03541 -0.62980 3.09288
N -1.03275 1.79865 4.43808
H -3.93338 3.17911 -2.63983
C -1.42779 2.42640 6.69833
H -2.12725 -2.49337 -2.15966
H 1.96130 -1.97959 -6.17103
C 5.53019 -5.09366 -0.28764
H 6.20741 -1.72263 -0.74431
O -0.45278 -1.62228 -6.90125
C -1.30146 -7.95522 -3.65431
C -3.28716 2.56255 4.94574
H 4.35015 2.69561 -0.84081
O -1.45125 1.41281 1.56246
H -4.13709 3.12582 0.64699
H -1.93776 3.62090 0.73305
H -5.63628 7.09113 3.95592
H 0.27881 4.27598 -1.44968
H 7.41099 -6.48930 1.15227
H 0.12410 -6.30125 -0.07613
H 2.77068 -1.33023 -4.86490
H 4.63555 -3.85184 2.73437
H 4.74425 3.99819 -1.88559
H 5.25647 -3.69535 -1.85539
O 0.52978 -0.66636 5.97479
C 5.18400 -3.68865 -0.76782
Li 1.17840 -2.68033 -2.32927
N 0.30311 -2.23878 -4.26406
N 5.06727 1.08443 3.67774
C -4.38617 -1.79224 -1.17174
H 3.41040 2.85343 -2.26120
C -2.01119 1.82544 5.46253
H 3.75291 -3.04306 0.53953
H -4.61785 4.12439 -0.72887
O 2.15064 -1.27931 -1.47341
O -4.30798 2.59574 5.96966
H -0.26463 -2.57314 5.56207
H -0.40922 -5.44434 -3.21517
H -1.45588 -0.57675 -5.36890
H -0.70120 2.75167 4.48209
C 0.49198 -1.86850 5.21693
H -3.00856 3.37317 -4.15515
H 2.27403 4.75237 -2.83904
N -2.08171 4.50278 0.26222
H -0.47249 -4.74884 -0.67698
H 2.31215 -0.28580 -6.19608
H 4.42106 1.56065 4.29070
C 4.36469 -1.27026 3.61283
H 0.72140 -1.58960 7.77550
H -1.64300 2.53836 -1.54898
C 6.13814 -2.66700 -0.20443
H -2.43173 0.83622 5.64334
C -0.60459 0.79108 0.79525
C 1.63419 0.79114 -0.40327
O -4.54393 6.31166 2.46770
H 0.89887 -6.42550 -3.90888
H 1.14460 -4.94608 0.16530
H -3.92367 0.77093 -0.13574
C -0.05048 6.36099 -2.12695
H -3.64578 1.90646 4.15262
N 1.95854 -4.51282 -2.18121
C -4.38651 4.14036 0.33618
N -2.84263 -2.51911 -2.87217
C -3.30983 5.13715 0.62181
H 3.90436 -1.27524 4.60084
N -2.24070 0.99194 -2.69072
-- stop --

Sparks - “All You Ever Think About is Sex”

I love this video. Such gravitas when the pies begin fly

## Unrelated to this text: data records
........
--- P ---
{"formula": "C4H7NO", "method": "ωB97M-V/def2-TZVPD", "symbols": ["C", "N", "C", "C", "C", "O", "H", "H", "H", "H", "H", "H", "H"], "coordinates": [[-1.7267, 0.3823, 0.0299], [-0.3326, 0.1260, -0.0780], [0.3578, -1.1049, -0.0625], [1.7697, 0.0166, 0.1579], [0.6935, 1.0276, -0.0076], [0.6571, 2.2314, -0.1552], [-2.1218, 0.0005, 0.9788], [-1.8258, 1.4680, -0.0074], [-2.2661, -0.0687, -0.8064], [0.5007, -1.6838, -0.9662], [-0.0223, -1.7863, 0.7505], [1.6561, -0.7773, 0.8813], [2.5951, 0.0514, -0.5588]], "lowdin_charge": [-0.034, -0.168, -0.081, 0.059, -0.512, 0.063, 0.091, 0.094, 0.089, 0.099, 0.127, 0.070, 0.102], "lumo_energy_ev": 0.761, "orbital_gap_ha": 0.369, "e_homo_ev": -9.29, "smiles": "CN1CCC1=O"}


--- Q ---
{"formula": "C4H7NO", "method": "ωB97M-V/def2-TZVPD", "symbols": ["C", "O", "C", "C", "N", "C", "H", "H", "H", "H", "H", "H", "H"], "coordinates": [[-0.4674, -0.2161, 1.3054], [-1.2879, 0.7365, 0.6168], [-0.6131, 1.1111, -0.5939], [0.1630, -0.1263, -1.0081], [1.4580, 0.0361, -0.3196], [0.4293, -0.8483, 0.2544], [-1.1332, -0.9687, 1.7542], [0.1081, 0.2333, 2.1302], [-1.2997, 1.5575, -1.3370], [0.1737, 1.8435, -0.3281], [0.0043, -0.6887, -1.9324], [2.1982, -0.4712, -0.7882], [0.6150, -1.9209, 0.2756]], "lowdin_charge": [-0.157, -0.134, -0.158, -0.235, 0.058, -0.241, 0.121, 0.123, 0.125, 0.122, 0.143, 0.091, 0.140], "lumo_energy_ev": 1.030, "orbital_gap_ha": 0.391, "e_homo_ev": -9.60, "smiles": "C1OC[C@H]2N[C@@H]12"}


--- R ---
{"formula": "C4H7NO", "method": "ωB97M-V/def2-TZVPD", "symbols": ["C", "C", "N", "C", "C", "O", "H", "H", "H", "H", "H", "H", "H"], "coordinates": [[-1.5241, -1.3532, -0.3097], [-0.4840, -0.3178, -0.2592], [0.7851, -0.5231, 0.1595], [1.5150, 0.7603, 0.1053], [0.3659, 1.7139, -0.0264], [-0.6672, 0.8934, -0.6084], [-2.0466, -1.4103, 0.6550], [-1.1014, -2.3376, -0.5284], [-2.2440, -1.0794, -1.0819], [2.1665, 1.0144, 0.9513], [2.1653, 0.5757, -0.7729], [0.5220, 2.5595, -0.6911], [0.6608, -0.5143, 1.5279]], "lowdin_charge": [0.012, -0.490, 0.026, -0.272, -0.122, 0.031, 0.096, 0.092, 0.093, 0.102, 0.105, 0.067, 0.261], "lumo_energy_ev": [0.228, 0.279], "orbital_gap_ha": [0.249, 0.271], "e_homo_ev": [-6.55, -7.09]}


--- S ---
{"formula": "C4H7NO", "method": "ωB97M-V/def2-TZVPD", "symbols": ["C", "C", "C", "N", "C", "O", "H", "H", "H", "H", "H", "H", "H"], "coordinates": [[0.0235, -0.8053, 1.3557], [-0.6234, -0.2374, 0.0967], [-0.2780, 1.2223, -0.2650], [0.8492, 1.1119, -1.1982], [0.8390, -0.0978, -1.5702], [-0.0692, -0.9544, -1.0398], [-0.4023, -1.7829, 1.6044], [1.0976, -0.9418, 1.1938], [-0.1155, -0.1432, 2.2161], [-1.7028, -0.4096, 0.1043], [-1.1130, 1.6994, -0.7958], [-0.0217, 1.8560, 0.5892], [1.5161, -0.5302, -2.3009]], "lowdin_charge": [-0.039, -0.332, -0.166, 0.068, -0.242, -0.039, 0.080, 0.088, 0.081, 0.140, 0.116, 0.113, 0.133], "lumo_energy_ev": 1.015, "orbital_gap_ha": 0.391, "e_homo_ev": -9.63, "smiles": "C[C@H]1CN=CO1"}
........

@thegibson Thanks for battening our hatches and tacking against the wind and whatnot 👁️

@enot Yeah, in fact I think I had a dozen of them at one point but passed most of them onto someone else when I graduated

re: Food shitpost

********
i) This record from the OMol25 dataset describes the molecule C4H5NO2. The level of theory is wB97M-V/def2-TZVPD.

- E_LUMO (eV) = 0.966
- HOMO-LUMO gap (eV) = 10.493
- total charge = 0

Last column: natural (NBO) charge in e.
Positions of all 12 atoms, in Å:
1 C 0.9571 -0.5656 -1.5270  -0.462
2 C 1.6624 0.1171 -0.3510  -0.483
3 C 0.2192 -0.1033 -0.3628  0.481
4 C -0.9775 -0.1354 1.4307  0.320
5 H 0.6837 -1.6049 -1.8212  0.252
6 H 0.7846 -0.0359 -2.5015  0.221
7 H 1.7317 1.2400 -0.5412  0.237
8 H 2.5753 -0.3663 0.0303  0.241
9 H -1.4349 -0.4650 2.1822  0.179
10 N -1.1726 1.0256 0.9577  -0.128
11 O -0.4397 -1.1432 0.5326  -0.482
12 O -0.4727 0.9152 -0.4316  -0.375

ii) This record from the OMol25 dataset describes a cluster of 2 separate species, C4H5NO2 in total. The level of theory is wB97M-V/def2-TZVPD.

- E_LUMO (eV) = -0.627
- HOMO-LUMO gap (eV) = 9.897
- total charge = 0

Last column: natural (NBO) charge in e.
Positions of all 12 atoms, in Å:
1 C 1.9465 -0.2149 -1.8098  -0.214
2 C 1.2351 0.7183 -1.5874  -0.215
3 C -0.4740 0.0970 2.0161  -0.315
4 C -0.4178 -0.3981 0.7792  -0.146
5 N -1.3329 -0.1065 -0.2672  0.493
6 O -2.1932 0.7029 -0.0415  -0.380
7 O -1.1870 -0.6831 -1.3276  -0.360
8 H 2.6517 -0.9280 -1.9768  0.218
9 H 0.5224 1.4070 -1.4334  0.211
10 H 0.2916 -0.2533 2.7942  0.231
11 H -1.2753 0.9134 2.3001  0.243
12 H 0.2329 -1.2547 0.5542  0.235

Name the most stable of them. i).

i) This record from the OMol25 dataset describes a cluster of 2 separate species, C4H5NO2 in total. The level of theory is wB97M-V/def2-TZVPD.

- E_LUMO (eV) = 0.359
- HOMO-LUMO gap (eV) = 10.591
- total charge = 0

Last column: natural (NBO) charge in e.
Positions of all 12 atoms, in Å:
1 O -2.8216 0.9777 0.5248  -0.499
2 C -1.8313 0.3066 0.6537  0.450
3 C -0.1120 0.3431 -1.0917  0.463
4 C -0.4363 0.8151 0.3134  -0.633
5 N 2.6893 -0.6808 0.9590  -0.346
6 C 2.4118 -1.4532 0.1479  0.095
7 O 0.1353 -0.8111 -1.3555  -0.538
8 H -1.8853 -0.7481 0.9871  0.124
9 H -0.1472 1.1051 -1.8933  0.128
10 H -0.4391 1.9060 0.3706  0.240
11 H 0.3093 0.3906 0.9960  0.268
12 H 2.1270 -2.1509 -0.6121  0.249

ii) This record from the OMol25 dataset describes the molecule C4H5NO2. The level of theory is wB97M-V/def2-TZVPD.

- E_LUMO (eV) = 0.690
- HOMO-LUMO gap (eV) = 9.552
- total charge = 0

Last column: natural (NBO) charge in e.
Positions of all 12 atoms, in Å:
1 C -1.5498 -0.6081 -0.6563  -0.553
2 C -0.4202 -0.2707 -0.0001  0.201
3 C -0.1042 1.1470 -0.0762  -0.152
4 O 1.3212 1.2254 0.1649  -0.481
5 C 1.7280 0.0096 0.6467  0.883
6 O 2.8527 -0.2643 0.9613  -0.569
7 N 0.6209 -0.8658 0.6830  -0.629
8 H -1.6380 -0.2426 -1.6759  0.221
9 H -2.2566 -1.3632 -0.3773  0.212
10 H -0.7821 1.3364 -0.9706  0.234
11 H -0.5938 1.7521 0.6892  0.207
12 H 0.8218 -1.8558 0.6112  0.426

Name the most stable of them. i).

i) This record from the OMol25 dataset describes a structure of composition C4H5NO2. The level of theory is wB97M-V/def2-TZVPD.

- E_LUMO (eV) = 0.056
- HOMO-LUMO gap (eV) = 9.356
********
End of the data records

@rgegriff @vertigo @thegibson @nomad oh no the brand blipverts are upon us

Every now and then I log into my old account and turn on the federated timeline just to feel the wind in my hair

@thegibson Funny thing is I'm doing this at work right now. The whole internet is queues all the way down

Whatever nascent AI sentience there may be behind my iPhone, it probably only ever sees me making a disapproving face and sounding annoyed because Face ID and Siri are a couple of my least favorite things in the world

Pumpkin breakfast time again for crows. Wish this phone had a better zoom lens

Also just saw a neighborhood cat chase a squirrel into my yard, then turn around and run as two more of that squirrel’s treemates scurried down and went after the cat

Man, I love this band. It's overcast and cold and I'm going for a walk with this album all queued up.

Actors, "Killing Time (Is Over)"

This video is pretty great too. Real "Night of the Comet" road trip vibes

Actors, "Strangers"

Interesting (to me) crow update

I went for a walk. On the way home, I saw three crows hanging out in the sidewalk across the street. Might be the same as the pumpkin crew?

Either way, I went "pspsps" and they all flew over to land on a car near me and check me out.

I said they were pretty and kept walking. They kept up with me, from phone wire to car. One landed on the sidewalk next to me and hopped along with me a bit.

When I got home, I went in and got some cashews. Came back out and one was waiting for me. So I tossed some cashews a few paces away from me. They swooped down to gobble them up, and then the other two appeared and also got cashews.

Then, they all flew away. But, I think that was a good crow meeting.

Tired: Verified identity badge

Wired: Verified cognitohazard badge

@tithonium I feel like this is something the SCP Foundation folks must have figured out... :hazard_warning:​☣️

@bsharper Read that a bunch of years ago, one of the few stories that actually horrifies me :)

@deepthaw Oh that's a nice lookin rig right there
